Baked goods fuel cordial meeting
by Gina Campoli
CRAFTSBURY COMMON — By 9 a.m., the start time for this year’s Town Meeting, the 150 or so folding chairs set out in the Craftsbury Academy gym were about half occupied. By 10 a.m., there were over 120 voters present. According to some observers that is less than the 150 or so who usually showed up prior to COVID. During the afternoon Craftsbury School District voting there were just over 50 participants.
Folks seemed to be glad to be meeting in person after the three-year COVID hiatus.
There were tasty baked goods and coffee available in support of the Craftsbury Academy’s 2023 prom, and academy students prepared a lunch of spaghetti with meat and vegetarian red sauce options, garlic bread, and grated parmesan cheese.
Town business filled the morning hours. Select board member Susie Houston opened things up by recognizing the numerous individuals — almost all of whom are volunteers — who fill various town committee roles and their many contributions to the town.
'''
Diffraction record for Li4Cr3Fe3Sb2O16. The XRD peak list is simulated, not measured: it uses the PBE+U geometry in the Materials Project and Cu Kα (λ = 1.5418 Å).
Lines closer than 0.1° are merged.

Atomic structure:
a = 5.955 Å, b = 5.955 Å, c = 9.652 Å
α = 90.18°, β = 90.18°, γ = 60.15°
Fractional coordinates of all 28 atoms:
Li 0.000 0.000 0.000
Li 0.001 0.001 0.498
Li 0.336 0.336 0.409
Li 0.668 0.668 0.913
Cr 0.173 0.173 0.722
Cr 0.341 0.832 0.222
Cr 0.832 0.341 0.222
Fe 0.173 0.662 0.723
Fe 0.662 0.173 0.723
Fe 0.830 0.830 0.222
Sb 0.334 0.334 0.000
Sb 0.670 0.670 0.493
O 0.002 0.002 0.813
O 0.038 0.480 0.855
O 0.163 0.671 0.105
O 0.166 0.166 0.106
O 0.336 0.837 0.602
O 0.337 0.337 0.615
O 0.480 0.038 0.855
O 0.483 0.483 0.859
O 0.521 0.521 0.351
O 0.522 0.967 0.350
O 0.671 0.163 0.105
O 0.671 0.671 0.119
O 0.835 0.835 0.603
O 0.837 0.336 0.602
O 0.967 0.522 0.350
O 0.997 0.997 0.312

Peak list (12 most intense, 10° ≤ 2θ ≤ 80°, by angle)
2θ/deg	intensity
19.5	100
25.3	31
32.8	31
34.8	11
35.4	34
35.5	16
36.0	24
39.6	13
45.0	24
55.0	13
59.8	13
62.4	16


Diffraction record for Li3VPCO7. The XRD peak list is simulated, not measured: it uses the PBE+U geometry in the Materials Project and Cu Kα (λ = 1.5418 Å).
Lines closer than 0.1° are merged.

Atomic structure:
a = 6.616 Å, b = 8.514 Å, c = 9.995 Å
α = 95.26°, β = 90.27°, γ = 90.38°
Fractional coordinates of all 52 atoms:
Li 0.000 0.000 0.000
Li 0.000 0.006 0.492
Li 0.230 0.180 0.750
Li 0.235 0.180 0.272
Li 0.280 0.616 0.507
Li 0.281 0.618 0.010
Li 0.489 0.810 0.768
Li 0.493 0.802 0.267
Li 0.498 0.237 0.490
Li 0.720 0.620 0.010
Li 0.759 0.178 0.272
Li 0.767 0.181 0.750
V 0.000 0.570 0.784
V 0.003 0.568 0.275
V 0.499 0.228 0.988
V 0.736 0.627 0.517
P 0.000 0.309 0.023
P 0.498 0.483 0.245
P 0.499 0.491 0.745
P 0.999 0.307 0.523
C 0.497 0.939 0.535
C 0.499 0.935 0.037
C 0.995 0.865 0.731
C 0.996 0.864 0.232
O 0.000 0.330 0.180
O 0.001 0.476 0.974
O 0.002 0.828 0.854
O 0.181 0.207 0.969
O 0.186 0.212 0.474
O 0.317 0.593 0.799
O 0.319 0.591 0.296
O 0.493 0.049 0.632
O 0.496 0.320 0.296
O 0.496 0.789 0.567
O 0.498 0.973 0.914
O 0.499 0.325 0.795
O 0.499 0.967 0.411
O 0.500 0.048 0.133
O 0.500 0.789 0.065
O 0.502 0.474 0.588
O 0.503 0.469 0.088
O 0.683 0.586 0.300
O 0.683 0.595 0.799
O 0.811 0.209 0.474
O 0.816 0.206 0.968
O 0.988 0.746 0.636
O 0.995 0.823 0.356
O 0.997 0.007 0.699
O 0.997 0.009 0.207
O 0.998 0.476 0.471
O 0.998 0.751 0.135
O 0.999 0.333 0.681

Peak list (12 most intense, 10° ≤ 2θ ≤ 80°, by angle)
2θ/deg	intensity
10.4	100
19.8	24
21.5	29
25.5	30
26.3	26
27.0	95
31.7	15
34.3	15
36.1	22
36.7	31
51.1	16
55.6	20


Diffraction record for ErWO5. The XRD peak list is simulated, not measured: it uses the PBE+U geometry in the Materials Project and Cu Kα (λ = 1.5418 Å).
Lines closer than 0.1° are merged.

Atomic structure:
a = 5.284 Å, b = 12.643 Å, c = 6.930 Å
α = 90.00°, β = 117.03°, γ = 90.00°
Fractional coordinates of all 28 atoms:
Er 0.141 0.055 0.285
Er 0.141 0.445 0.785
'''
Town Moderator Jeannine A. Young read key procedural guidance from Roberts Rules of Order for the voters. She was re-elected on a voice-vote.
Cheryl Bailey, a town auditor, noted the dedication in this year’s town report to Barb Patterson, a long time town lister. She explained that “lister is a task that doesn’t come with many rewards. After all, who welcomes a call from the town lister? Barb’s real estate assessments were always done in a fair and careful manner.”
While questions on most articles were frequent, almost everything passed by wide margins and all the town and school offices were filled by candidates who ran unopposed. Both the town and school budgets passed by overwhelming numbers despite budget increases. There were only 3 votes cast against the $572,830 needed for the town budget and only one lone vote against the $4,403,546 school budget.
The select board’s request to purchase a new grader, not to exceed $275,000 passed 91 to 8. The fire department’s budget passed 105 to 3 and an appropriation of $10,000 for volunteer firefighter stipends passed without opposition in a voice vote.
The voters’ generosity extended to all funding requests from local committees and local and regional nonprofits that serve Craftsbury residents. All requests were approved, for a total of $69,453. In one instance voters gave more than the requested amount. The Craftsbury Historical Society was awarded $500 instead of the $100 it requested.
In addition, voters approved $12,000 for the Craftsbury Community Care Center, $46,000 for the Craftsbury Public Library and $10,000 for repairs to historic cemetery fences and a cemetery access road.
Under article 3 the select board asked that the collector of delinquent taxes be appointed by the Board after a recruitment process instead of being a elected at Town Meeting. After some discussion and the request for a paper ballot, the board’s proposal was approved 77 to 25.
Elected town officers include:
Jim Jones for another three-year term on the select board, Tom Boyle for a three-year lister term, Michael Waterhouse for a three-year auditor term, Bob Davis for a five-year term on the cemetery commission, Steve Moffat as Craftsbury Library Trustee for two years remaining of a four-year term, Penelope Doherty, as one of the supervisors of the Lamoille Solid Waste District for a two-year term, Rudy Chase as a trustee of public funds for a three-year term, Bruce Urie as a World War II Memorial Fund Trustee for a three-year term and Ross Davis filling the two years of a three-year term as a Memorial Fund Trustee. Bruce Urie recognized long-time trustee the late Sonny Simmons who died last year.
School board members Kasey Allen and Cedar Hannan were both elected to two year and three year terms, respectively.
Article 16, asking voters if they would like to elect town officials by Australian ballot instead of at the annual meeting prompted considerable discussion.
Susie Houston explained that the article came after voters last year asked that the town look into conducting more of its business through Australian ballot. She also explained that the Board will be convening a task force of volunteers this spring — dubbed Freedom and Unity — that will convene a public dialogue on strengthening democracy in Craftsbury including how to get more people involved and build “inclusive, deliberate, and empowered community engagement.” She suggested that article 6 might be postponed until that work is done.
Several speakers described the dwindling numbers at Town Meeting and the challenges with attending for those that have to work. Others asked that the town better use available technology to make sure those who can’t get to meetings can participate including Bru Mille who said, “We have the technology. We need to expand the vote and include more people without eroding Craftsbury’s strong Town Meeting tradition.”
The voters appeared to agree with those who asked that the Freedom and Unity initiative do its work before moving to electing officials via Australian ballot. Article 16 failed to pass, 52 to 36.
State Representative Katherine Sims, herself a Craftsbury resident, dropped by just before lunch and gave a brief State House report. She said, “While there is a large budget surplus this year, it will end with federal stimulus funds and thus the need to look at programs that are fiscally sustainable.”
Her priorities include workforce development, childcare, paid family leave, school construction, and housing. Representative Sims is a lead sponsor of a bill to create more middle income housing and she introduced bills to support emergency medical services and the right to repair agricultural equipment now made difficult by lack of access to manufacturer diagnostic and other tools.
She has heard from constituents regarding S.5 the Affordable Heat Act, which just passed the Senate. She said that, as written, it creates a market that favors more affordable and price-stable and less-polluting home heating alternatives. She has concerns about the impacts to low and moderate income Vermonters. The Senate required that the Public Utilities Commission undertake a detailed cost accounting of the proposed standard and this analysis must come back to the Legislature in 2025 when a vote will determine if the Clean Heat Standard should take effect.
• Records of crystals that have nothing to do with the text:
Record 1
Theoretical powder diffraction line list
Compound: Co2TePbAu
Radiation: Cu Kα (weighted mean of Kα1 and Kα2)
Structure: DFT lattice parameters and positions (PBE)

The 6 most intense peaks (10 to 90 degrees two-theta), low angle first:
index	2theta	I (rel.)
1 0 1	23.54	100
1 1 0	26.04	82
0 0 2	29.53	80
2 0 0	37.16	88
1 1 2	39.77	56
2 0 2	48.16	84

Cell: 4.840 4.840 6.050 Å, 90.00 90.00 90.00°
Space group P4/mmm (No. 123)
Asymmetric unit:
Co: 0.000 0.500 0.000
Te: 0.000 0.000 0.500
Pb: 0.000 0.000 0.000
Au: 0.500 0.500 0.500

---

Record 2
Theoretical powder diffraction line list
Compound: LaPm6Ho3
Radiation: Cu Kα (weighted mean of Kα1 and Kα2)
Structure: DFT lattice parameters and positions (PBE)

The 6 most intense peaks (10 to 90 degrees two-theta), low angle first:
index	2theta	I (rel.)
1 1 3	28.65	64
3 0 0	31.11	100
1 0 4	31.61	17
2 2 3	42.80	21
4 1 3	53.85	22
3 3 0	55.36	20

Cell: 9.9578 9.9578 11.9869 Å, 90.00 90.00 120.00°
Space group R32 (No. 155, hexagonal axes)
Asymmetric unit:
La: 0.0000 0.0000 0.0000
Pm: 0.0000 0.3302 0.0000
Pm: 0.0000 0.6735 0.5000
Ho: 0.0000 0.0000 0.2543
Ho: 0.0000 0.0000 0.5000

---

Record 3
Theoretical powder diffraction line list
Compound: CaSnAu3
Radiation: Cu Kα (weighted mean of Kα1 and Kα2)
Structure: DFT lattice parameters and positions (PBE)

The 6 most intense peaks (10 to 90 degrees two-theta), low angle first:
index	2theta	I (rel.)
0 0 1	16.17	70
1 1 1	24.25	53
0 0 2	32.67	100
1 2 1	32.91	60
2 1 1	33.09	62
3 1 2	53.42	50

Cell: 6.945 7.028 5.483 Å, 90.00 90.00 90.00°
Space group Pbam (No. 55)
Asymmetric unit:
Ca: 0.000 0.000 0.000
Sn: 0.000 0.500 0.500
Au: 0.000 0.500 0.000
Au: 0.139 0.143 0.500

---

Record 4
Theoretical powder diffraction line list
Compound: Ac2P3Pd6
Radiation: Cu Kα (weighted mean of Kα1 and Kα2)
Structure: DFT lattice parameters and positions (PBE)

The 6 most intense peaks (10 to 90 degrees two-theta), low angle first:
index	2theta	I (rel.)
1 1 1	31.54	100
2 1 0	36.52	23
3 0 0	41.62	30
0 0 2	41.77	22
2 1 1	42.26	41
4 1 1	69.66	28

Cell: 7.5176 7.5176 4.3246 Å, 90.00 90.00 120.00°
Space group P-62m (No. 189)
Asymmetric unit:
Ac: 0.3333 0.6667 0.0000
P: 0.0000 0.3543 0.5000
Pd: 0.0000 0.2098 0.0000
Pd: 0.0000 0.6902 0.5000

---

Record 5
Theoretical powder diffraction line list
Compound: LiCdPb4
Radiation: Cu Kα (weighted mean of Kα1 and Kα2)
Structure: DFT lattice parameters and positions (PBE)

The 6 most intense peaks (10 to 90 degrees two-theta), low angle first:
index	2theta	I (rel.)
0 2 0	20.56	45
1 1 0	27.11	36
1 0 1	29.70	80
0 0 2	31.73	61
0 3 1	34.99	79
1 2 1	36.40	100
The Craftsbury School District meeting commenced at 1 p.m. Besides approving the budget with only one no vote, voters asked the school board to pay the school district clerk $1,000. That job had been unpaid. Town residents also agreed to put $115,088 into a reserve fund for building maintenance and repairs.